Where can one find a good read, to inspire, encourage or to revive oneself if circumstances are tough and you are feeling low? Mark Weeden shares some of his bookshelf favourites
King Solomon wrote that the writing of books was endless (and the reading of many wearying to the soul) and this can even be so in Christendom! So here are some books that I have found especially helpful, and also worth rereading.

-- Here the text breaks off for records of molecules --
/*
# 1
Entry from the OMol25 dataset: a molecular structure, C19H23AsN2O2S2V at a distorted geometry (the ωB97M-V functional and the def2-TZVPD basis).

The geometry in XYZ format:
```
50
Properties=species:S:1:pos:R:3:forces:R:3
V -14.228338 8.296540 -0.274038 -0.111 -0.453 -0.511
C -14.128230 8.929523 -3.513496 0.631 0.274 0.203
C -15.179245 9.319236 -2.525629 0.323 0.271 0.228
N -14.851571 10.119554 -1.562384 -0.383 0.250 -0.518
N -15.946486 10.657170 -0.842898 0.341 -0.698 -0.234
C -15.738751 10.669195 0.416758 -0.568 0.042 0.536
S -14.294044 10.103168 1.248125 -0.083 0.299 0.580
S -17.110811 11.115930 1.485684 0.546 -0.057 -0.381
C -18.520697 10.929172 0.358635 -0.421 0.191 0.001
C -18.840346 12.091954 -0.555873 -0.250 -0.412 -0.114
C -18.772393 11.899773 -1.933019 0.058 0.252 -0.116
C -19.133616 12.900558 -2.820164 -0.256 0.398 -0.045
C -19.617109 14.127454 -2.329794 0.885 -0.263 -1.021
C -19.664936 14.312979 -0.972575 -0.246 0.279 0.783
C -19.311760 13.304878 -0.087191 0.239 -0.117 0.264
C -16.484936 8.679727 -2.684875 -0.663 -0.339 0.474
C -17.384893 8.913638 -3.707784 0.658 0.674 -0.377
C -18.536137 8.183635 -3.799383 -0.952 -0.283 -0.206
C -18.840649 7.229383 -2.832689 -0.231 -0.236 0.138
C -17.975904 6.961282 -1.803548 1.293 0.432 0.374
C -16.734908 7.653005 -1.752712 0.059 -0.464 0.045
O -15.766668 7.285198 -0.917931 -0.383 0.091 0.262
H -13.134752 9.166527 -3.111017 -0.155 0.011 -0.184
H -14.181551 7.872404 -3.770420 -0.098 0.047 -0.072
H -14.279114 9.541157 -4.412386 0.011 -0.231 0.005
H -18.382533 10.027899 -0.238250 0.176 -0.016 0.064
H -19.377333 10.735365 1.026404 0.323 0.142 -0.117
H -18.389133 10.968260 -2.306935 0.073 -0.272 -0.097
H -19.019523 12.728416 -3.893859 -0.116 0.110 0.337
H -19.787243 14.970018 -3.009279 -0.212 -0.443 0.235
H -19.976925 15.259511 -0.556933 -0.098 0.154 -0.057
H -19.360073 13.468354 0.985999 -0.051 0.085 -0.089
H -17.158909 9.691134 -4.440941 -0.112 -0.193 0.117
H -19.228702 8.359379 -4.608025 -0.066 0.058 -0.080
H -19.753120 6.648713 -2.861013 -0.158 0.147 -0.259
H -18.161888 6.217294 -1.033248 -0.052 0.054 -0.217
C -11.654738 8.400032 2.659948 0.358 0.415 0.323
As -11.583936 7.016012 1.375722 -1.962 -0.146 -0.834
C -11.110522 5.383023 2.215960 0.770 -0.133 0.289
C -10.390287 7.507071 0.004384 0.704 -0.115 -0.054
O -13.091433 6.822637 0.599287 1.140 0.260 0.695
H -10.844625 8.331453 3.385365 0.125 -0.006 -0.130
H -12.583740 8.300192 3.190572 -0.524 0.002 0.192
H -11.639939 9.373079 2.161112 -0.001 -0.171 0.042
H -10.174338 5.563728 2.781706 -0.485 -0.299 -0.280
H -10.978850 4.581194 1.484567 0.037 0.242 0.065
H -11.908504 5.104397 2.895843 -0.082 0.042 0.107
H -9.360814 7.622568 0.346076 -0.056 -0.049 -0.029
H -10.746365 8.448816 -0.394322 -0.074 0.165 -0.140
H -10.463009 6.727120 -0.746057 0.097 0.012 -0.198
```
Positions in Å, forces in eV/Å.

Calculated values
spin multiplicity: 4
HOMO (spin up / spin down): -0.26000 / -0.27686 Ha
Kohn-Sham gap (spin up / spin down): 0.25956 / 0.27415 Ha
*/
John Bunyan’s great classic, “Pilgrim’s Progress” has encouraged generations of Christians in the highs and lows of their walk of faith, as they encounter the same problems as Christian on his journey from the City of Destruction to the Celestial City. So helpful, that the famous preacher, Charles Haddon Spurgeon reputedly read it every six months!
“The Hiding Place” (why read novels when gripping accounts of real life are available?) tells of Corrie ten Boom’s brave and risky protection of Jews in her home in Holland, from the murderous intention of the Nazis, and the reality of seeing God even in concentration camps. A thought-provoking read as we see anti-Semitism rising in our own day.
Injustice and evil are very difficult issues to deal with, but RT Kendall’s “God meant it for Good” tell of the opposition, maligning and false accusations which the patriarch Joseph in the Bible endured. And yet God was with him and used all the experiences for the good of not only Joseph, but many others too. An encouraging read for any going through tough times, showing that, for the believer, God is still in control.
For me personally, probably the most powerful book I have read (apart from the Bible) is “Rees Howells: Intercessor” by Norman Grubb. As a young Christian, it was like spiritual heart surgery, and took me two years to finish, but what great truths of the faith, as Howells shows the reality of God in his life in so many ways, including prayers for the nation during World war Two. And God has not changed!
**Between two parts of the article: records of molecules:**
# 1
This record from the Open Molecules 2025 dataset describes a structure of composition C41H82As3IN8O7RbS2Si2Te at a distorted geometry. The level of theory is ωB97M-V/def2-TZVPD.

Element x y z (Å)
Rb: 0.07060 0.25006 0.17723
C: 2.02277 -5.49046 4.30636
C: 1.88318 -3.99224 4.55362
N: 0.63546 -3.42669 4.08158
C: 0.40004 -3.23192 2.72308
S: -1.24456 -2.95619 2.27039
N: 1.44383 -3.27293 1.96123
N: 1.30304 -2.79688 0.67320
C: 1.52332 -3.62446 -0.27228
C: 1.76570 -5.09678 -0.08327
C: 1.59368 -3.08108 -1.65679
C: 1.70503 -3.93918 -2.75280
C: 1.83317 -3.40774 -4.02599
C: 1.84517 -2.03275 -4.17604
C: 1.72628 -1.25594 -3.02970
N: 1.59890 -1.75233 -1.80769
H: 2.98963 -5.85560 4.66010
H: 1.94714 -5.69836 3.23964
H: 1.23748 -6.04562 4.82362
H: 2.69643 -3.46316 4.05481
H: 1.95977 -3.77942 5.62334
H: -0.20073 -3.67897 4.58694
H: 1.67526 -5.34793 0.96871
H: 2.76316 -5.37700 -0.43275
H: 1.04129 -5.68386 -0.65145
H: 1.69508 -5.01045 -2.61319
H: 1.91571 -4.06196 -4.88495
H: 1.94862 -1.56540 -5.14621
H: 1.74272 -0.17357 -3.09371
C: -0.75557 0.62690 -5.07945
As: -0.83767 1.27872 -3.21092
C: -2.79522 1.40236 -3.16760
C: -0.57523 3.20554 -3.58698
C: 0.85429 3.77416 -3.62730
C: 1.78571 2.91574 -4.48456
C: 1.43916 3.90962 -2.20600
As: 2.13599 2.31583 -1.26695
C: 3.99633 2.36880 -1.92140
C: 2.48269 3.26480 0.41192
C: 0.77740 5.22130 -4.17154
As: 0.37392 5.77798 -6.03559
C: 2.07419 5.30990 -6.91166
C: -0.71357 4.36414 -6.86763
H: -1.30657 1.27943 -5.75957
H: -1.19704 -0.37105 -5.11150
H: 0.27858 0.55082 -5.41749
H: -3.16553 2.02459 -3.98484
H: -3.07550 1.83964 -2.21069
H: -3.22206 0.40233 -3.25823
H: -1.13656 3.71086 -2.79745
H: -1.08116 3.40368 -4.53277
H: 1.90311 1.92071 -4.04587
H: 2.77936 3.36589 -4.55406
H: 1.39914 2.78208 -5.49256
H: 0.68221 4.32257 -1.53410
H: 2.27932 4.61200 -2.22715
H: 4.37546 3.39176 -1.96813
H: 4.07057 1.91110 -2.90731
H: 4.61281 1.79213 -1.23040
H: 2.99607 4.20868 0.21697
H: 3.11333 2.63949 1.04653
H: 1.52804 3.45087 0.90750
H: 1.74323 5.71500 -4.01116
H: 0.06137 5.77277 -3.55598
H: 2.88564 5.83911 -6.41134
H: 2.03126 5.65390 -7.94524
H: 2.28248 4.24293 -6.89857
H: -1.73274 4.39566 -6.48563
H: -0.31076 3.36344 -6.73550
H: -0.74544 4.59388 -7.93383
C: 0.75673 4.93543 4.93861
Si: 0.20911 3.14443 5.10143
C: 0.76595 2.50504 6.78021
C: -1.66047 3.03748 4.95979
C: 0.95846 2.16617 3.70574
Te: 0.74501 0.03464 3.85395
C: 2.61462 -0.28721 4.86226
Si: 4.18264 -0.05657 3.84905
C: 5.51956 -1.12940 4.62829
C: 4.76974 1.73097 3.93132
C: 3.96783 -0.55184 2.06273
H: 0.33739 5.56094 5.73119
H: 0.44066 5.34672 3.97719
H: 1.84612 5.00632 4.99488
H: 0.13617 2.91623 7.57377
H: 1.79888 2.79188 6.99386
H: 0.69346 1.41577 6.82474
H: -2.05546 2.16424 5.48519
H: -1.93004 2.97320 3.90287
H: -2.14134 3.92456 5.38002
H: 2.01301 2.38957 3.55376
H: 0.43104 2.45623 2.79045
H: 2.54322 -1.32813 5.18896
H: 2.62647 0.32338 5.76867
H: 5.68036 -0.86828 5.67708
H: 6.47219 -1.01858 4.10398
H: 5.23611 -2.18415 4.58600
H: 4.80801 2.09287 4.96190
H: 4.11953 2.39855 3.36465
Whilst not well known, Darlene Deibler Rose’s “Evidence Not Seen” is an extraordinary account of this young missionary’s marriage, life and widowhood in the Far East, seeking to make the love of Christ known to peoples caught up in superstition, with the most amazing accounts of God’s encouragement, protection and provision. Truly, her story could have come out of the Book of Acts.
If you struggle with prayer, “The Diary of George Muller” by A Rendle Short (others have written accounts, too), is a wonderful testimony showing the reality of a prayer-answering God.
Muller, a loose-living German wasting his life, is converted to Christ, and ends up caring for orphans in Victorian England. First in his own home, then buying the house next door, he feeds, clothes and schools an increasing number (2,000 by the end of his life) without ever once asking for money. He shares account after account of laying the needs before God in prayer, and then testifies how very specific answers came to meet all those practical needs.
And EM Bounds’ very simple classic, “Power Through Prayer”, teaches us the principles about prayers which God is willing to answer.
A powerful autobiography shows a teenage Doreen Irvine on the streets of London, falling into drugs, prostitution and stealing, and becoming a witch. Through the power of her dark arts, she rises to become queen witch in England. Going in to disrupt a Christian meeting in Bristol, she is profoundly touched by the singing of a missionary, sensing the purity of the power in the lady’s voice, and contrasting it with her own real, but putrid powers. And so begins a journey that leads to Doreen finding salvation in Jesus, showing his power to be greater than that of her master’s.
Inserted here: calculated molecules:
Formula: C10H14N2O2
Source: the Open Molecules 2025 dataset
Level of theory: wB97M-V/def2-TZVPD

Last columns: bonded neighbours and bond lengths (Å).
Element x y z (Å)
1 O -0.82480 -2.58927 -0.19109  N4 1.216
2 O -2.43733 -1.63596 -1.20138  N4 1.208
3 N -1.47938 -0.66021 0.47768  N4 1.294, C7 1.423
4 N -1.58890 -1.65547 -0.34167  O1 1.216, O2 1.208, N3 1.294
5 C 1.79614 -0.46194 0.87203  C6 1.388, C9 1.432, C10 1.414
6 C 0.86618 -0.81573 1.83914  C5 1.388, H17 1.064, H28 1.032
7 C -2.04103 0.63255 0.28534  N3 1.423, C12 1.481, C13 1.558, H16 1.124
8 C 2.96364 1.25925 -0.40767  C10 1.379, C11 1.443, H15 1.102
9 C 2.30244 -1.43678 -0.04681  C5 1.432, C14 1.406, H20 1.126
10 C 2.12736 0.88991 0.62420  C5 1.414, C8 1.379, H23 1.067
11 C 3.47397 0.26828 -1.32402  C8 1.443, C14 1.367, H18 1.056
12 C -1.89655 1.05526 -1.12648  C7 1.481, H19 1.125, H26 0.990, H27 1.088
13 C -3.51605 0.80771 0.75645  C7 1.558, H21 1.052, H22 1.065, H25 1.019
14 C 3.23722 -1.04325 -1.02097  C9 1.406, C11 1.367, H24 1.107
15 H 2.97116 2.34692 -0.58321  C8 1.102
16 H -1.37597 1.18000 1.00680  C7 1.124
17 H 0.16728 -0.30913 2.46179  C6 1.064
18 H 4.28823 0.33747 -1.99253  C11 1.056
19 H -0.98876 0.59675 -1.60814  C12 1.125
20 H 1.81800 -2.43756 0.12835  C9 1.126
21 H -3.48781 0.53020 1.77048  C13 1.052
22 H -4.18150 0.31219 0.08852  C13 1.065
23 H 1.71271 1.54474 1.35685  C10 1.067
24 H 3.75101 -1.82679 -1.61133  C14 1.107
25 H -3.77400 1.79325 0.79363  C13 1.019
26 H -2.78185 1.01451 -1.56838  C12 0.990
27 H -1.71872 2.12003 -1.26487  C12 1.088
28 H 0.61729 -1.81694 1.82730  C6 1.032

Values from the calculation:
LUMO (alpha / beta) (eV): -2.56 / -1.71
Total charge: 0
Energy relative to the best compared isomer or geometry (same formula, charge and spin) (kJ/mol): 674.3
Frontier orbital gap (alpha / beta) (Eh): 0.188 / 0.275
E (a.u.): -649.14375
HOMO (alpha / beta) (eV): -7.684 / -9.179

~~~~~

No. 1
Below is a 7-piece molecular cluster, C5H24N2O6 overall at a distorted geometry, with properties calculated with ωB97M-V with the def2-TZVPD basis set.

## Properties
Maximum force: 6.14 eV/Å
HOMO energy: -0.3183 Ha
2S+1: 1
Orbital gap: 9.0 eV
Energy above the lowest of the compared OMol25 structures with the same formula, charge and spin: 3.8460 eV
Charge: 0
SMILES: C=C(N)C[C@@H](C)N.O.O.O.O.O.O

Each line ends with the Mulliken charge.
CARTESIAN COORDINATES (ANGSTROEM)
H 0.56 -4.04 1.40  0.2642
O -1.85 -0.40 -2.86  -0.6145
H 3.32 2.12 -0.94  0.2561
H -1.31 2.70 1.74  0.2689
H -1.84 -2.93 -0.22  0.3067
H -3.61 -0.59 0.54  0.3033
H -3.43 -3.09 -0.29  0.3072
O -1.26 -2.10 2.77  -0.6381
H 0.12 -0.78 -4.33  0.3058
C 0.37 1.83 0.96  0.4522
N 2.57 -0.87 0.52  -0.4951
O -2.59 -3.26 0.27  -0.6446
C 3.34 1.10 -0.45  -1.1489
H -1.28 2.39 0.10  0.2528
H 0.94 1.46 -1.09  0.3407
O 0.89 -0.50 -3.93  -0.6194
H -1.74 -1.34 2.53  0.2704
H 0.87 -2.52 1.56  0.3505
H 0.73 3.79 1.82  0.5235
H 0.56 1.48 2.13  0.1291
H -1.63 -2.89 2.17  0.3613
C 1.02 3.28 0.96  -1.3975
H -2.36 0.31 -3.24  0.2943
Some of these books are wonderfully inspiring, but can the ordinary Christian really know something of God in the ways of those people? Roy Hession shows us in “My Calvary Road”, that a seemingly mundane Christian life can be revived, transformed, taken to new levels, in knowing the reality of God and his work in our lives. There is no partiality with God, and those who walk with Christ on his terms can know him in a much more intimate way.